Fast Track to Nowhere
The debate over free trade agreements is back on the nation’s front pages as the Bush administration seeks fresh “Fast Track” authorization to broker sweeping trade deals without input from labor activists, human rights advocates or even elected officials.
Clickhere to see an eye opening video that cuts to the core of the issue and explains why transnational corporations are so anxious for the U.S. Congress to roll over one more time and give George Bush the power to write the rules that govern international trade.
It’s not a pretty story but it is an important one. With 3 million manufacturing jobs lost since 1994 and a stunning 2.4 million more projected gone by 2015, the time to put the brakes on this Fast Track train wreck is now.
Negotiations Open at Hamilton Sundstrand
“Hamilton Sundstrand is a highly successful company thanks to the skill and dedication of generations of union workers,” declared Eastern Territory GVP Lynn D. Tucker, Jr. at the opening session of contract negotiations between Local 743 and Hamilton Sundstrand in Windsor Locks, CT. The IAM represents approximately 1,050 members at Hamilton Sundstrand. The current agreement expires on May 5, 2007.
Attending the March 6 opening session were Aerospace Coordinator Frank Santos; GLR Bill Rudis; District Lodge 26 DBR Everett Corey; Assistant DBR James Parent; Business Representatives Luther Collins, Steve Merrick, and Mike Stone; Local 743 President Mark Hebert and his local negotiating team.
District 947 Kicks Off Organize Drive in Long Beach
District 947 in Long Beach, CA conducted a training session recently to kick off its campaign to bring agency shop recognition to 2,000 technical and office workers employed by the City of Long Beach. The District currently represents five other occupational groupings in the city. The office and technical group is the only one that does not have an agency-shop provision.
Western Territory GVP Lee Pearson presented the participants with an overview of the IAM’s organizational structure, from Local Lodge to Grand Lodge. Western Territory AA Gary Allen, District President Richard Sanchez and Local 1930 President Chris Miller also took part in training and encouraging the nearly thirty participants.
City of Long Beach technical and office workers cover a wide range of occupations – from police and fire dispatch to parks and recreation personnel. Last year, District 947 successfully brought agency shop to the professional unit of city workers. Since the election, the District has been able to secure improvements in wages, training and classification titling.
Buoyed by the support and information gained at the training session, participants began the very next morning meeting with their co-workers getting the IAM message out.
Could this be Your Road King?
Time is rapidly approaching for the drawing for a 2006 Harley-Davidson Road King. The Grand Lodge Convention Host Committee is sponsoring the raffle to raise funds for the 2008 Convention held inside Disney World Orlando. The winning ticket will be drawn during the Legislative Conference held this May. If you haven’t purchased your ticket yet, hurry! Contact your District or Territorial Offices for tickets. Tickets can be mailed directly to your home by contacting GLR James Rodehorst or Southern Territory AA Gaylon Allen.
Karen Lovelace Named Sister of the Month
International Women’s Day, March 8, is the perfect occasion to announce that the IAM Women’s Department has named Karen Lovelace of IAM Local Lodge 1165 in Lincoln, IL the U.S. Sister of the Month for March.
A 37-year IAM member, Sister Lovelace currently serves as the Secretary-Treasurer of the local lodge. She has also served as Secretary-Treasurer, Vice President and President under District Lodge 123 and E-Board Member-at-Large for District Lodge 55.
┌──
Record 1
Below is a geometry-optimized GdPS structure, with properties calculated at the PBE-GGA level.

Unit cell a=5.370 b=5.435 c=16.834 alpha=90.00 beta=90.00 gamma=90.00
Fractional coordinates of all 24 atoms:
1 S 0.250 0.988 0.183
2 P 0.038 0.702 0.003
3 Gd 0.750 0.984 0.138
4 Gd 0.250 0.516 0.638
5 P 0.962 0.798 0.503
6 P 0.462 0.202 0.497
7 Gd 0.750 0.515 0.853
8 P 0.038 0.202 0.497
9 S 0.250 0.015 0.689
10 Gd 0.250 0.016 0.862
11 P 0.462 0.702 0.003
12 S 0.750 0.485 0.189
13 Gd 0.750 0.015 0.647
14 Gd 0.250 0.485 0.147
15 Gd 0.250 0.985 0.353
16 S 0.750 0.985 0.311
17 S 0.250 0.488 0.317
18 S 0.750 0.512 0.683
19 Gd 0.750 0.484 0.362
20 S 0.750 0.012 0.817
21 P 0.962 0.298 0.997
22 P 0.538 0.298 0.997
23 S 0.250 0.515 0.811
24 P 0.538 0.798 0.503

* space-group type: No. 62
* ΔH_f (0 K): -1.740 eV/atom
* calculated total energy: -9.45 eV per atom

Record 2
Below is a geometry-optimized Na3HS2O8 structure, with properties calculated at the PBE-GGA level.

Unit cell a=9.786 b=8.760 c=9.245 alpha=71.45 beta=90.00 gamma=90.00
Fractional coordinates of all 56 atoms:
1 H 0.736 0.395 0.617
2 Na 0.344 0.113 0.128
3 O 0.875 0.754 0.008
4 H 0.264 0.605 0.383
5 O 0.858 0.657 0.285
6 O 0.634 0.115 0.950
7 O 0.094 0.964 0.276
8 S 0.692 0.639 0.642
9 Na 0.004 0.241 0.225
10 Na 0.844 0.887 0.372
11 O 0.642 0.657 0.785
12 Na 0.996 0.759 0.775
13 Na 0.656 0.887 0.872
14 O 0.142 0.343 0.715
15 O 0.674 0.090 0.627
16 H 0.236 0.605 0.883
17 Na 0.500 0.000 0.500
18 O 0.375 0.246 0.492
19 O 0.157 0.346 0.374
20 Na 0.496 0.241 0.725
21 Na 0.500 0.500 0.000
22 O 0.336 0.690 0.917
23 H 0.764 0.395 0.117
24 S 0.180 0.865 0.405
25 O 0.836 0.310 0.583
26 O 0.826 0.090 0.127
27 Na 0.504 0.759 0.275
28 O 0.657 0.654 0.126
29 O 0.906 0.036 0.724
30 S 0.680 0.135 0.095
31 S 0.308 0.361 0.358
32 O 0.652 0.466 0.644
33 O 0.134 0.885 0.550
34 O 0.125 0.246 0.992
35 O 0.594 0.036 0.224
36 O 0.366 0.885 0.050
37 Na 0.000 0.000 0.000
38 O 0.326 0.910 0.373
39 O 0.343 0.346 0.874
40 S 0.192 0.361 0.858
41 S 0.320 0.865 0.905
42 O 0.664 0.310 0.083
43 Na 0.156 0.113 0.628
44 S 0.808 0.639 0.142
45 O 0.406 0.964 0.776
46 O 0.866 0.115 0.450
47 O 0.625 0.754 0.508
48 O 0.348 0.534 0.356
49 Na 0.000 0.500 0.500
50 O 0.174 0.910 0.873
51 O 0.152 0.534 0.856
52 O 0.358 0.343 0.215
53 S 0.820 0.135 0.595
54 O 0.843 0.654 0.626
55 O 0.164 0.690 0.417
56 O 0.848 0.466 0.144

* space-group type: No. 14
* ΔH_f (0 K): -2.069 eV/atom
* calculated total energy: -5.62 eV per atom

Record 3
Below is a geometry-optimized Te40Rh31 structure, with properties calculated at the PBE-GGA level.

Unit cell a=12.220 b=12.590 c=12.691 alpha=82.99 beta=112.89 gamma=111.38
Fractional coordinates of all 71 atoms:
1 Rh 0.216 0.427 0.771
2 Rh 0.203 0.518 0.124
3 Te 0.532 0.673 0.851
4 Te 0.435 0.928 0.884
5 Te 0.438 0.322 0.517
6 Rh 0.333 0.786 0.371
7 Rh 0.460 0.725 0.619
8 Te 0.279 0.750 0.149
9 Rh 0.673 0.218 0.637
10 Te 0.661 0.924 0.647
11 Te 0.568 0.082 0.113
12 Rh 0.460 0.488 0.961
└──
Sister Lovelace has also participated in six Grand Lodge Conventions, two Women’s Conferences, two IAM Blue Ribbon Commissions, as well as numerous state councils, legislative and territorial conferences.
The Canadian sister is selected every other month and Jacqueline Schmidt of Local Lodge 1927 in Ontario remains the pick for Canada.
The IAM “Sister of the Month” is an effort to motivate women to become more involved in their union by recognizing their hard work and dedication. If you’d like to nominate someone, download the nomination form and submit it to the IAM Women’s Department.
Bobby Martinez Joins Western Territory Staff
Western Territory GVP Lee Pearson announced this week that Robert “Bobby” M. Martinez will join the Western Territory staff as a Special Representative, effective April 1, 2007. Bobby recently received his Bachelor’s degree from the National Labor College and has served as Directing Business Representative for IAM Local 933 in Tucson, AZ, since 2000.
“We have been very impressed with the skills and results that Bobby has shown as the DBR in Tucson. His organizing efforts along with his political skills and representation abilities will be a welcome addition to our staff,” said Pearson. “He has been a bright spot with his organizing work, and when you consider that he is in a right-to-work (for less) state, it becomes even more significant.”
Log Truckers Get Boost from Court Ruling
The Washington State Supreme Court gave a legal boost to worker-friendly log trucker bills in Washington and Oregon being supported by the Northwest Log Truckers Cooperative and the IAM-Woodworkers Union, District W-1.
The Court rejected the Washington Truckers Association (WTA) argument that federal truck deregulation laws preempt state action regarding prevailing wage law for truckers.
The two bills (HB 2497 in Oregon and HB 2247 in Washington) will ensure the economic health of rural communities in Washington and Oregon by giving log truck drivers the right to collectively bargain with the state’s large forest products companies.
Go to to send an email message to either the Washington or Oregon state legislature.
Bazillionaire Calls for Unlimited Foreign Worker Visas
Testifying before a Senate hearing on U.S. competitiveness, Microsoft founder and multi-billionaire Bill Gates said that he didn’t think there should be any limit on H1B visas issued to foreign tech workers. Most Senators agreed, but lamented the fact that Congress would likely only double the H1B visa limit.
Doubling the H1B visa limit would mean 130,000 jobs lost to lower-paid, temporary visa holders. We don’t have to guess at the result. Fewer jobs for American tech workers and professionals, lower wages for those who have jobs, and less emphasis on educating and developing future Americans as innovators and technology experts.
You can read Bill Gates’ comments at: